Empowering all students to make meaningful contributions to the world
Different schools are equipped to implement projects in different ways. Involving all of your stakeholders in the decision-making process streamlines the implementation process. Dr. Ashley Ellis, Assistant Superintendent for Instruction at LCPS, explains that her main challenge is creating meaningful connections between teachers, schools, and community partners. “We at the district level,” she shares, “[must] provide the support and resources that are necessary to make those partnerships in the best interest of students.”
For our purposes, we have developed a Community Connections office which works to develop relationships with community partners in order to facilitate RWL experiences. Additionally, our Community Connections PBL workshop allows community partners to connect with teacher teams so that they can effectively organize RWL experiences that benefit all stakeholders.
1. Work with leadership and teacher teams to discuss appropriate ways to enlist partners.
a. Allow schools the flexibility to do it their own way. b. Develop a Community Connections PBL workshop to intentionally connect teacher teams and community partners.When developing relationships with community partners, know that there is a broad range of effective ways to collaborate. Their participation could be as simple as a student coming in one day to experience the workplace setting, coordinating a demonstration at a school site, or hosting a long-term internship. Set up these PBL events for teachers in a few schools to make sure that it works effectively. The key is to start small and build one success story at a time.
This year for our Community Connections PBL workshop, we’ve created an application process to help organize and assure clarity of the goals for teachers and businesses. We recommend managing your current list of community partners within a database to catalog and inform which ways your district can grow. Partnerships may evolve over time so gathering metrics is useful as you look back to see which organizations have worked best.
1. Actively recruit partners for job day experiences.
a. Start with a manageable number of school in an annual Community Connections PBL event and include an application process for teachers. b. Create a database to track community partners.Training teachers on implementing PBL well will ensure program success. We follow a modified version of the Gold Standard PBL model from the Buck Institute for Education. We then worked with instructional facilitators to implement the trainings in specific schools throughout the district.
Additionally, we have an administrative leadership team that we have included in trainings. This has given them the context to weave PBL into ongoing improvement plans. If your administrative team is more aware of PBL, then they can better support Real World Learning experiences for students.
1. Work with instructional facilitators to support this work at schools.
2. Have a key member from leadership deliver the Community Connections PBL workshop (we had our Assistant Superintendent implement ours).
{
  "formula": "C5H7NO2",
  "method": "the ωB97M-V functional and the def2-TZVPD basis",
  "energy_ha": -399.82843,
  "e_above_lowest_kcal_mol": 86.05,
  "orbital_gap_ev": 9.39,
  "smiles": "Cc1cnc(CO)o1",
  "species": ["O", "O", "N", "C", "C", "C", "C", "C", "H", "H", "H", "H", "H", "H", "H"],
  "coordinates": [[0.581, 1.565, 2.080], [0.163, 0.579, -0.166], [0.725, -1.413, 0.498], [1.576, 0.501, 1.871], [1.000, -0.156, 0.640], [-1.627, 0.009, -1.957], [-0.458, -0.234, -1.059], [0.003, -1.466, -0.677], [1.192, -0.294, 2.833], [-2.613, -0.100, -1.300], [-1.536, 1.202, -2.457], [-0.275, -2.464, -1.039], [2.663, 0.883, 1.781], [-1.737, -0.909, -2.428], [0.343, 2.296, 1.378]],
  "forces_ev_per_a": [[0.089, 2.126, 0.092], [0.678, 2.412, -0.644], [1.941, 0.141, -1.209], [-2.738, 0.173, 0.874], [-2.155, -1.191, 0.395], [-0.898, 4.795, 2.677], [1.034, -2.519, 1.383], [-1.332, -1.351, 0.037], [2.152, 2.400, -2.906], [1.883, 1.119, -1.039], [-0.630, -4.128, 0.838], [0.005, 0.680, -0.101], [-1.775, -0.864, 0.520], [0.159, -1.034, -2.411], [1.588, -2.759, 1.495]],
  "nbo_charge": [-0.7706, -0.4334, -0.4467, -0.1104, 0.4342, -0.6522, 0.2365, -0.1290, 0.2462, 0.2309, 0.2388, 0.2041, 0.2117, 0.2417, 0.4982]
}

***

{
  "formula": "C12H18N3O",
  "method": "the ωB97M-V functional and the def2-TZVPD basis",
  "energy_ha": -707.14094,
  "e_above_lowest_kcal_mol": 16.04,
  "orbital_gap_ev": 9.44,
  "charge": 1,
  "species": ["O", "N", "N", "N", "C", "C", "C", "C", "C", "C", "C", "C", "C", "C", "C", "C", "H", "H", "H", "H", "H", "H", "H", "H", "H", "H", "H", "H", "H", "H", "H", "H", "H", "H"],
  "coordinates": [[0.069, 0.348, 0.537], [0.422, -0.288, 3.275], [-2.849, 1.341, -1.313], [2.144, -0.721, -1.640], [-1.726, 2.806, -0.111], [0.033, -0.804, -2.224], [-2.858, 1.996, -0.086], [-0.057, -1.510, 2.982], [-1.820, 1.759, -2.119], [2.026, -1.343, 2.097], [0.250, -2.031, -1.418], [1.172, 0.009, -2.299], [-0.934, 2.594, -1.418], [1.762, -0.209, 2.767], [1.627, -2.002, -1.174], [0.809, -2.145, 2.164], [-3.656, 0.938, -1.805], [-0.772, 0.771, 0.166], [0.126, -0.370, 1.223], [2.261, 0.696, 3.017], [3.124, -0.392, -1.612], [-1.124, -1.792, 3.219], [0.045, 3.087, -1.900], [-1.764, 1.574, -3.228], [-0.328, -2.832, -1.183], [1.444, 1.023, -2.648], [-0.870, -0.364, -2.789], [-3.826, 1.769, 0.536], [3.045, -1.791, 1.623], [0.471, -0.256, -0.055], [2.514, -2.817, -0.809], [-1.383, 3.784, 0.622], [-0.053, 0.349, 3.817], [0.680, -3.177, 1.788]],
3. Present to your administrative leadership team on expanding work-based learning opportunities so they can include it in ongoing improvement plans.
We created a school-business partnership with the goal of having this team develop and strengthen partnerships between local partners and our district. They developed communication strategies to reach out to other business to generate interest. Exposure, through short videos or blog posts, can improve public relations and prompt new relationships with your district.
We also developed a website with Real World Learning resources for teachers. The goal of this website was to reinforce the topics covered at PBL workshops and generate interest from other teachers to facilitate RWL sessions in their classrooms. Our district prioritizes the use of social media and even has a dedicated television channel to broadcast news to the residents of our districts. We believe digital storytelling to be our greatest currency.
1. Increase communication strategies for RWL with a school / business partnership team.
a. Develop short videos to showcase RWL examples.
b. Develop a website with resources for teachers using RWL.